Your job: print the whole of the entries below verbatim.
# La16Ni8O33
Computed XRD peak list, λ = 1.5418 Å (Cu Kα). Input: a structure optimized by DFT (PBE+U).
Neutral-atom scattering factors, no anomalous dispersion.

Structural model:
```
57
Lattice="-3.880 3.880 12.700 3.880 -3.880 12.700 3.880 3.880 -12.700" Properties=species:S:1:pos:R:3 pbc="T T T"
La 1.922 3.804 -5.006
La 3.828 1.942 1.444
La 0.053 1.976 1.424
La 1.958 0.077 7.694
La 1.938 -0.052 11.256
La 0.008 1.887 4.945
La 3.957 1.922 5.006
La 1.942 3.932 -1.444
La -0.053 5.785 1.424
La -1.993 3.872 7.756
La 1.993 3.888 7.756
La 0.052 1.938 14.144
La -1.905 3.828 11.276
La -0.077 1.958 17.706
La -0.008 5.873 4.945
La 1.905 3.933 11.276
Ni 3.878 -1.956 9.546
Ni 5.836 -0.003 3.154
Ni 1.924 0.003 3.154
Ni 3.873 1.945 -3.198
Ni 0.007 1.936 9.502
Ni 1.936 -0.007 15.898
Ni 1.945 3.888 3.198
Ni 3.883 1.956 9.546
O 5.735 -0.183 0.909
O 3.698 1.939 -5.398
O 2.026 0.183 0.909
O 0.000 0.000 2.900
O 1.933 -1.918 9.416
O 3.880 0.000 3.267
O 1.937 1.943 -3.048
O 1.500 -0.106 5.327
O 4.058 1.946 -0.910
O 2.380 3.986 -7.374
O 3.697 -1.855 11.791
O 3.880 0.000 6.350
O 5.818 1.937 3.048
O 3.880 0.000 9.433
O 0.000 0.000 9.589
O 1.962 1.948 3.284
O 1.946 3.703 0.910
O 0.182 1.941 7.302
O 1.935 0.177 13.610
O 3.775 2.380 7.374
O 1.948 5.799 -3.284
O 0.000 3.880 3.109
O 0.000 0.000 15.812
O 1.943 1.938 9.652
O 1.941 -0.182 18.099
O 4.063 1.855 11.791
O -0.177 1.935 11.790
O 1.939 4.063 5.398
O -1.938 1.943 15.749
O 0.000 3.880 9.592
O 1.918 1.933 15.985
O 0.000 0.000 22.501
O 0.106 1.500 20.074
```

The 8 most intense peaks (2θ = 5–70°), low angle first:
Position (°2θ)	intensity
23.98	23
28.10	12
31.27	100
32.64	67
42.54	18
43.60	29
46.82	34
57.39	37



# La2Ni2O5
Computed XRD peak list, λ = 1.5418 Å (Cu Kα). Input: a structure optimized by DFT (PBE+U).
Neutral-atom scattering factors, no anomalous dispersion.

Structural model:
```
18
Lattice="-7.926 2.845 2.732 7.926 -2.845 2.732 7.926 2.845 -2.732" Properties=species:S:1:pos:R:3 pbc="T T T"
La 1.724 0.092 0.000
La 6.202 0.092 0.000
La 1.724 2.754 2.732
La 6.202 2.754 2.732
Ni 3.963 -0.334 2.942
Ni 0.000 0.000 2.704
Ni 7.926 0.000 2.704
Ni 3.963 3.179 0.210
O 11.889 0.626 -0.504
O 2.178 2.453 -0.136
O 5.748 2.453 -0.136
O -0.224 1.451 1.365
O 8.150 1.451 1.365
O 2.178 0.392 2.596
O 5.748 0.392 2.596
O -3.963 2.219 2.228
O 0.224 4.239 1.365
O -0.224 1.394 4.097
```

The 8 most intense peaks (2θ = 5–70°), low angle first:
Position (°2θ)	intensity
22.56	17
31.44	33
32.03	100
32.78	34
41.13	16
46.06	30
56.35	19
58.04	19



# La2Ni2O5
Computed XRD peak list, λ = 1.5418 Å (Cu Kα). Input: a structure optimized by DFT (PBE+U).
Neutral-atom scattering factors, no anomalous dispersion.

Structural model:
```
36
Lattice="7.525 0.000 0.000 0.000 7.898 0.000 -6.844 0.000 7.878" Properties=species:S:1:pos:R:3 pbc="T T T"
La -1.658 1.873 1.936
La -5.080 2.076 5.875
La -1.399 5.788 5.895
La 2.024 6.058 1.956
La -1.343 1.839 5.922
La 2.079 2.109 1.983
La 5.760 5.822 2.003
La 2.338 6.025 5.942
Ni 0.000 0.000 0.000
Ni -3.422 0.000 3.939
Ni 0.000 3.949 0.000
Ni -3.422 3.949 3.939
Ni 3.762 0.000 0.000
Ni 0.340 0.000 3.939
Ni 3.762 3.949 0.000
Ni 0.340 3.949 3.939
O -3.049 5.780 4.193
O 0.374 6.067 0.254
O -1.537 0.519 3.889
O -4.959 3.430 7.829
O -3.398 0.307 6.045
O 0.024 3.642 2.106
O 0.422 0.319 1.814
O -3.000 3.630 5.753
O -0.058 5.784 3.672
O -3.480 6.063 7.611
O 4.161 1.835 0.268
O 0.738 2.114 4.207
O 3.681 4.268 2.125
O 0.259 7.579 6.064
O 0.656 4.256 5.772
O 4.079 7.591 1.833
O 5.639 4.468 0.050
O 2.217 7.378 3.989
O 0.307 1.831 7.624
O 3.729 2.118 3.685
```

The 8 most intense peaks (2θ = 5–70°), low angle first:
Position (°2θ)	intensity
22.54	28
31.50	51
32.10	88
32.95	100
34.42	45
45.97	24
46.09	28
55.91	24



# La2NiO4
Computed XRD peak list, λ = 1.5418 Å (Cu Kα). Input: a structure optimized by DFT (PBE+U).
Neutral-atom scattering factors, no anomalous dispersion.

Structural model:
```
7
Lattice="-1.962 1.962 6.260 1.962 -1.962 6.260 1.962 1.962 -6.260" Properties=species:S:1:pos:R:3 pbc="T T T"
# La16Ni8O33
Computed XRD peak list, λ = 1.5418 Å (Cu Kα). Input: a structure optimized by DFT (PBE+U).
Neutral-atom scattering factors, no anomalous dispersion.

Structural model:
```
57
Lattice="-3.880 3.880 12.700 3.880 -3.880 12.700 3.880 3.880 -12.700" Properties=species:S:1:pos:R:3 pbc="T T T"
La 1.922 3.804 -5.006
La 3.828 1.942 1.444
La 0.053 1.976 1.424
La 1.958 0.077 7.694
La 1.938 -0.052 11.256
La 0.008 1.887 4.945
La 3.957 1.922 5.006
La 1.942 3.932 -1.444
La -0.053 5.785 1.424
La -1.993 3.872 7.756
La 1.993 3.888 7.756
La 0.052 1.938 14.144
La -1.905 3.828 11.276
La -0.077 1.958 17.706
La -0.008 5.873 4.945
La 1.905 3.933 11.276
Ni 3.878 -1.956 9.546
Ni 5.836 -0.003 3.154
Ni 1.924 0.003 3.154
Ni 3.873 1.945 -3.198
Ni 0.007 1.936 9.502
Ni 1.936 -0.007 15.898
Ni 1.945 3.888 3.198
Ni 3.883 1.956 9.546
O 5.735 -0.183 0.909
O 3.698 1.939 -5.398
O 2.026 0.183 0.909
O 0.000 0.000 2.900
O 1.933 -1.918 9.416
O 3.880 0.000 3.267
O 1.937 1.943 -3.048
O 1.500 -0.106 5.327
O 4.058 1.946 -0.910
O 2.380 3.986 -7.374
O 3.697 -1.855 11.791
O 3.880 0.000 6.350
O 5.818 1.937 3.048
O 3.880 0.000 9.433
O 0.000 0.000 9.589
O 1.962 1.948 3.284
O 1.946 3.703 0.910
O 0.182 1.941 7.302
O 1.935 0.177 13.610
O 3.775 2.380 7.374
O 1.948 5.799 -3.284
O 0.000 3.880 3.109
O 0.000 0.000 15.812
O 1.943 1.938 9.652
O 1.941 -0.182 18.099
O 4.063 1.855 11.791
O -0.177 1.935 11.790
O 1.939 4.063 5.398
O -1.938 1.943 15.749
O 0.000 3.880 9.592
O 1.918 1.933 15.985
O 0.000 0.000 22.501
O 0.106 1.500 20.074
```

The 8 most intense peaks (2θ = 5–70°), low angle first:
Position (°2θ)	intensity
23.98	23
28.10	12
31.27	100
32.64	67
42.54	18
43.60	29
46.82	34
57.39	37



# La2Ni2O5
Computed XRD peak list, λ = 1.5418 Å (Cu Kα). Input: a structure optimized by DFT (PBE+U).
Neutral-atom scattering factors, no anomalous dispersion.

Structural model:
```
18
Lattice="-7.926 2.845 2.732 7.926 -2.845 2.732 7.926 2.845 -2.732" Properties=species:S:1:pos:R:3 pbc="T T T"
La 1.724 0.092 0.000
La 6.202 0.092 0.000
La 1.724 2.754 2.732
La 6.202 2.754 2.732
Ni 3.963 -0.334 2.942
Ni 0.000 0.000 2.704
Ni 7.926 0.000 2.704
Ni 3.963 3.179 0.210
O 11.889 0.626 -0.504
O 2.178 2.453 -0.136
O 5.748 2.453 -0.136
O -0.224 1.451 1.365
O 8.150 1.451 1.365
O 2.178 0.392 2.596
O 5.748 0.392 2.596
O -3.963 2.219 2.228
O 0.224 4.239 1.365
O -0.224 1.394 4.097
```

The 8 most intense peaks (2θ = 5–70°), low angle first:
Position (°2θ)	intensity
22.56	17
31.44	33
32.03	100
32.78	34
41.13	16
46.06	30
56.35	19
58.04	19



# La2Ni2O5
Computed XRD peak list, λ = 1.5418 Å (Cu Kα). Input: a structure optimized by DFT (PBE+U).
Neutral-atom scattering factors, no anomalous dispersion.

Structural model:
```
36
Lattice="7.525 0.000 0.000 0.000 7.898 0.000 -6.844 0.000 7.878" Properties=species:S:1:pos:R:3 pbc="T T T"
La -1.658 1.873 1.936
La -5.080 2.076 5.875
La -1.399 5.788 5.895
La 2.024 6.058 1.956
La -1.343 1.839 5.922
La 2.079 2.109 1.983
La 5.760 5.822 2.003
La 2.338 6.025 5.942
Ni 0.000 0.000 0.000
Ni -3.422 0.000 3.939
Ni 0.000 3.949 0.000
Ni -3.422 3.949 3.939
Ni 3.762 0.000 0.000
Ni 0.340 0.000 3.939
Ni 3.762 3.949 0.000
Ni 0.340 3.949 3.939
O -3.049 5.780 4.193
O 0.374 6.067 0.254
O -1.537 0.519 3.889
O -4.959 3.430 7.829
O -3.398 0.307 6.045
O 0.024 3.642 2.106
O 0.422 0.319 1.814
O -3.000 3.630 5.753
O -0.058 5.784 3.672
O -3.480 6.063 7.611
O 4.161 1.835 0.268
O 0.738 2.114 4.207
O 3.681 4.268 2.125
O 0.259 7.579 6.064
O 0.656 4.256 5.772
O 4.079 7.591 1.833
O 5.639 4.468 0.050
O 2.217 7.378 3.989
O 0.307 1.831 7.624
O 3.729 2.118 3.685
```

The 8 most intense peaks (2θ = 5–70°), low angle first:
Position (°2θ)	intensity
22.54	28
31.50	51
32.10	88
32.95	100
34.42	45
45.97	24
46.09	28
55.91	24



# La2NiO4
Computed XRD peak list, λ = 1.5418 Å (Cu Kα). Input: a structure optimized by DFT (PBE+U).
Neutral-atom scattering factors, no anomalous dispersion.

Structural model:
```
7
Lattice="-1.962 1.962 6.260 1.962 -1.962 6.260 1.962 1.962 -6.260" Properties=species:S:1:pos:R:3 pbc="T T T"